How Accurate is Agcurate and Why is it so?

The short answer is: It is accurate. Not 100%, not 99%, but accurate enough to have a skin in the game of making agriculture more predictable today and sustainable for generations to come.
The achieved level of accuracy is more than enough to sustain existing real-world applications and enables many new ones which were not feasible, applicable or even understandable before.
Despite the fact that the differences in utilization of rural agricultural data require different methods of machine learning and imagery analysis to gather that very data, the measured accuracy in a chosen application has the same impact across almost all demands.
To give an example of our accuracy, we can discuss the following case: Field-validation of our oilseed rape classification results in all major regions of Turkey at randomly selected farms have shown that the field level precision was 96%. In terms of the value of this data and how our customers use it, we can give the following example: showing this data for 2 consecutive years would show the macro trend in a region, which will help them to strategize their marketing efforts. You can also read our blog post on detecting corn farmlands here and canola farmlands over there.
I will give more details on our approach in a bit but before that, I'd like to form a context on the question of "Why Agcurate Exists?".
Why Agcurate Exists?
It should be a blog post on its own, as it has several profound answers deeply rooted in our company culture since our foundation, but I'll give you a brief. Agcurate exists because of transparency, timeliness, and effectiveness in operational decision-making in the agri-industry. Or the lack of them.
Agcurate exists because a cotton farmer in Mali, whose product is the building block of the global textile industry, cultivates this very product at a significant personal risk - a risk that would cost him and his family almost their entire family savings. A risk exists because they don't have access to modern insurance schemes, since when they apply for insurance they are evaluated based on the socio-economic factors of developed countries (i.e. credit cards, credit scores, etc.), which are outside of their reach in the first place.
Instead, they should be evaluated on the success in cultivating their lands, thus, on their agronomy expertise. We exist because we understand the pains of 400 Million family farmers worldwide, who are uninsured and unbanked on financing and go under major risks every agricultural season. Only 3% of the farmers are insured in Sub-Saharan Africa and 22% in South/Southeast Asia. Within these regions plus Latin America, there is a $170 billion of “unmet financial demand” or “unbanked farmer demand for financing”.
Agcurate also exists because a family of four would buy a kilogram of cornflour for a price much higher than they did two weeks prior, not knowing that almost all of the companies and government branches who are the fundamental links in the global supply chain cannot forecast their operations accurately because of lacking rural agricultural data.
All of these symptoms and the problems they indicate are the main challenges in the face of creating sustainable agriculture. According to FAO, sustainable agriculture is the way to ensure answering the needs of humanity today without compromising the tomorrow of future generations. Developing sustainable food systems contributes to the sustainability of the human population.

To overcome these problems, and to have a hand in creating a sustainable future, we know that the formula is simple; an agribusiness or a government office accurately knowing what happens in the field affects the monthly budget of a family of four dearly. Farmers and agribusinesses have a sense of the past of the farmlands. But that’s not enough. If they'd know what is happening right now, they could make predictions for what will happen toward the end of the season; they can broadcast their findings to other actors in the chain, and, as a result, nobody would be caught off-guard facing unforeseen, unpredictable challenges. Hence, we work every day to help develop sustainable supply chains so that we can have an impact on sustaining humanity's tomorrow.
How Do We Solve These?
We provide rural agricultural insights to interested parties - i.e. food buyers, seed providers, commodity traders, fertilizer and pesticide providers - who'll use these insights to better understand what's happening on the field and to design their next plans of action. We do this so that the decision-making process of these vital actors would not suffer from the lack of quantitative analytics.
To provide these data, we analyze satellite images periodically, and with the power of our proprietary AI we identify the crop cultivated areas. We start publishing our findings at the start of the season. After every two weeks, with new satellite images coming in, we tune our algorithm to get more accuracy in identified cultivated areas, as the new images would show more grown crops.
Using satellite images is the answer to all the problems we are trying to solve. At least to a point that would empower the operational decision-making process. Although satellite imagery has its challenges, especially the ones that require continuous research and development, we have found several solutions to overcome them. I'll list them below and briefly explain how we’ve conquered these challenges.
Field Data to Train Our Algorithms
AI requires validated field data to learn from so that it would match its learnings to its findings. This field data consists of simple information about a field: "the field at this exact point in this season is a cornfield". And that's all.
The amount of points we need from the field depends on the crop, the climate of the region, and the clearness of the parcel boundaries.
Different Crops
Different crops have different growth stages, called "crop phenologies" and thus we craft our algorithms to identify these phenologies. Also, crop pigments reflect different colors at different stages of their growth. We also count this fact in our analysis.
Different Climates
Different climates also affect the period of growth stages of the same crop. The same crop would be blooming after 6 weeks of sowing in one climate, and it would take around 12 weeks to get the first flowers under a different climate.
Unclear Parcel Boundaries
In some parts of the world, the crop cultivated areas are intertwined with forests, bushlands, etc. Thus, it is harder to identify the crops sowed in those lands because the boundaries of the fields are unclear. It is easier to falsely identify other crops as the ones we are looking for - called “false negatives”. The amount of false negatives diminishes the accuracy of the algorithm for which we need to get more field data to prevent it from happening.
With all these in mind, we've still managed to get to a point in which we only require ~20-80 field data to kick start our algorithms with satisfactory accuracy. Of course, the accuracy and adaptability of the methods grow to the full potential with a larger volume of valid field data. To get the required data, we rely on procurement from third parties or generate our own sets using company resources and collaboration with partners and customers.
Generally, our partners and customers provide initial point coordinates for a crop and we handle the rest.
Bad Weather and Clouds
Any company that uses satellite images embedded into the core of their value propositions have this problem. Clouds on the images are the common evil that we all have to fight against.
During a two weeks period, we get 2-4 images per region which we analyze. If they cover around 10000 km2 of land and if two of the images have about 20% clouds then it means for the 2000 km2 of land we can only analyze two images. For this area that is covered under clouds, our accuracy gets affected for that period. As we get more images toward the end of the season accuracy increases up to final levels (~95%) which is enough for a data-backed decision to be made.
Apart from this, using a completely different approach in satellite imagery we will be able to analyze satellite images bypassing the clouds in the near future. Although it is time-consuming, requiring in-depth research to overcome this completely, we are working toward achieving a certain level of perfection in this approach too.

What comes next are molecular data, not part of the entry
Density functional theory data (ωB97M-V with the def2-TZVPD basis set) for 3 unconnected molecules or ions with the total composition C31H17F14N3O12S in a non-equilibrium geometry.

XYZ file:
```
78
Properties=species:S:1:pos:R:3:forces:R:3
O 4.491939 -4.992402 5.243692 0.4 -1.0 -0.4
C 5.035601 -5.234891 4.254367 0.7 0.9 -0.7
N 5.664417 -5.343316 3.166577 -1.8 1.3 0.4
C 5.198025 -4.272399 2.267609 0.1 -0.1 0.6
N 4.463314 -3.267679 2.839030 1.6 -1.1 -4.6
C 4.114088 -2.364907 1.831419 -1.6 2.7 -0.3
C 3.250275 -1.178612 2.258349 0.2 0.4 -2.5
C 2.786808 -0.185332 1.303586 1.4 -1.8 -0.1
C 3.184017 -0.262600 -0.176809 0.5 -2.9 2.3
S 2.519526 1.049485 -1.237699 4.3 3.6 -0.9
O 3.074510 1.095595 -2.595884 -1.5 -1.8 1.3
O 2.871508 2.327837 -0.585079 -1.9 -2.3 0.3
C 0.671033 0.835536 -1.433318 -0.7 -1.3 -1.4
F 0.452510 -0.512709 -1.753222 0.3 2.1 0.8
F 0.301826 1.563800 -2.554702 0.6 -0.9 2.5
C -0.196249 1.197132 -0.159564 -2.9 0.5 0.5
F 0.134288 2.373674 0.448139 0.0 -2.1 -1.0
F -1.510789 1.357217 -0.618769 2.1 -0.3 0.6
F -0.265070 0.177870 0.771492 0.8 1.8 -1.6
C 4.050450 -1.368083 -0.602227 -0.8 0.7 0.8
C 4.536147 -1.484143 -2.088208 -0.8 -0.3 -0.4
C 5.645871 -0.435788 -2.514388 -0.6 -0.2 0.1
C 7.132993 -0.867551 -2.212483 -0.1 0.5 -1.5
F 7.285991 -2.157230 -1.726460 -0.1 1.9 -0.3
F 7.812895 -0.838731 -3.459183 -0.7 -0.1 1.8
C 7.895098 0.230241 -1.321814 0.6 -0.9 -2.0
F 9.262218 -0.048346 -1.442964 -2.0 0.5 1.0
F 7.706938 1.460738 -1.964462 0.0 -1.8 1.6
C 7.433760 0.265514 0.188586 0.2 1.1 1.6
F 6.123391 0.731782 0.349483 2.0 -0.9 -0.8
F 7.522253 -0.956370 0.835561 -0.1 1.5 -1.5
C 8.330332 1.285914 1.051874 -0.8 0.4 1.9
F 9.623403 0.866932 1.203764 -2.0 1.0 -0.7
F 7.758653 1.284607 2.330776 1.0 -0.1 -2.0
F 8.213910 2.581079 0.602699 0.8 -2.3 0.4
C 4.494913 -2.427896 0.400271 -0.4 0.8 0.1
N 5.282792 -3.467814 -0.103318 -0.6 -0.8 3.3
C 5.616795 -4.403008 0.825929 -0.2 0.9 -0.3
C 6.467685 -5.635237 0.337840 -0.9 -0.2 -0.7
C 5.479406 -6.760824 -0.230501 -0.8 -0.5 0.7
O 4.800544 -7.467113 0.491468 1.0 1.1 -0.7
H 2.971235 -1.080729 3.339683 0.3 -0.2 -1.3
H 2.143911 0.662408 1.673043 0.9 -1.0 -0.5
H 4.827628 -2.547453 -2.353402 -0.1 1.4 0.7
H 3.628687 -1.267930 -2.737872 1.2 -0.1 0.8
H 5.397363 0.549029 -2.027656 0.5 -1.0 -0.5
H 5.551541 -0.256640 -3.630560 0.3 -0.3 1.4
H 7.051936 -6.112883 1.169432 -0.6 0.6 -0.8
H 7.113796 -5.337770 -0.543175 -0.6 0.0 1.3
H 5.358180 -6.930850 -1.352038 0.6 0.6 0.9
C -7.579401 0.551432 -2.159650 0.1 -0.3 -0.1
C -7.331253 1.815795 -1.805824 -1.0 0.1 0.0
C -5.934165 2.326223 -1.664092 0.7 0.1 0.0
O -5.750606 3.489440 -1.358440 -0.4 -0.1 0.0
C -4.834418 1.389342 -1.898244 -0.1 0.3 0.1
C -5.082454 0.124309 -2.248612 1.0 -0.1 0.0
C -6.478624 -0.378185 -2.416810 -0.7 0.0 0.0
O -6.661871 -1.533474 -2.755081 0.4 0.1 0.0
O -4.081870 -0.756195 -2.466732 -1.0 0.1 0.0
O -8.332662 2.689107 -1.561491 1.1 -0.1 -0.1
H -8.585907 0.170411 -2.267766 0.0 0.0 0.0
H -3.828109 1.765794 -1.775511 0.0 0.0 0.0

Testing The Results
How are we sure about our accuracy?
We get sample locations from our results and go check the identified fields ourselves. If it is impossible for us to go to the fields ourselves, we ask our partners to check them for us.
If we don't get enough accuracy we fine-tune our algorithms, sometimes even redesign them, we try to funnel in more validated training data and we run them again. And then we go to the fields again.
Until reaching a certain point we iterate on this process and after the first accurate analysis, we don't need to re-iterate on this very crop ever.
With the help of our partners mainly, we test our results every time we get them. But after the first successful analysis, we don't need to work on our algorithms. To this extent, by the end of 2021, we are planning to be accurate in 5 crops in 8 different countries.

Next Steps
Testing the results is fun for us as we get more and more involved with agriculture, the fields, the smell of the lands, and the problems we are working to solve. Yet, because of the sheer amount of rural agricultural fields we need to visit globally just to test our results, this method is not scalable. As we’ve planned to identify 40 crops globally by 2024, we need a more scalable method for us to validate our findings.
Or better, for our customers to validate our findings for themselves on their own by using our platform without requiring our assistance.
As we continue to talk to our customers to understand their problems, we've decided to act on this idea and, right now, we are working on obtaining necessary tools to accomplish it. We'll announce this feature soon, after building the technical aspects of it.
Every single day we wake up to work on these problems and every single day we try to get to perfection. The sheer thrill and excitement of working on a problem that directly and indirectly affects billions around the world makes us cling to our cause even more.
We know for a fact that only after having a significant piece of skin in the game, getting outside of our comfort zones, accepting our boundaries, and then getting beyond them afterwards, can we solve perhaps the biggest problem in the world.